# Contents
+++
A 17-piece molecular cluster, C49H130N17O31 overall at a distorted geometry. Source: OMol25; level of theory: ωB97M-V/def2-TZVPD.

```
227
Properties=species:S:1:pos:R:3:forces:R:3:mulliken_charge:R:1
C -2.440 -2.867 7.281 -0.341 1.234 -0.221 -0.908
N -1.828 -2.087 6.116 0.710 -1.884 0.545 0.460
C -1.821 -3.100 4.943 -0.013 0.646 0.021 -0.707
C -2.642 -0.871 5.634 1.969 -1.280 1.332 -0.719
C -0.325 -1.781 6.535 -0.773 -1.441 -2.552 -0.202
C 0.088 -1.066 7.747 -0.399 1.570 1.269 -0.920
O -0.582 0.221 7.827 -0.289 -0.557 -0.717 -0.385
H -3.511 -2.963 7.105 0.126 -0.315 -0.212 0.357
H -2.353 -2.296 8.206 0.237 0.072 -0.092 0.335
H -1.937 -3.828 7.384 -0.105 0.160 -0.131 0.351
H -1.349 -4.047 5.204 0.464 0.439 0.173 0.541
H -1.385 -2.618 4.068 0.333 -0.198 0.220 -0.143
H -2.844 -3.355 4.665 -0.253 0.394 0.350 0.415
H -3.655 -1.245 5.485 0.074 0.572 -0.239 0.343
H -2.086 -0.592 4.739 -0.730 0.255 -0.126 0.167
H -2.444 -0.180 6.453 -0.757 0.428 -0.304 0.375
H 0.169 -1.394 5.643 -0.305 0.087 -0.138 0.130
H 0.090 -2.778 6.679 0.054 -0.128 -0.366 0.355
H 1.160 -0.917 7.619 0.130 0.040 -0.051 0.429
H 0.004 -1.731 8.606 -0.529 0.502 0.469 0.454
H -0.565 0.731 8.640 0.538 -0.714 0.414 0.256
C -6.080 -0.606 -1.038 -0.428 0.351 -0.878 -0.958
N -6.479 0.758 -0.501 -0.540 0.585 1.145 0.443
C -7.092 0.562 0.917 1.296 -0.381 -0.528 -0.817
C -5.203 1.621 -0.387 -1.576 1.613 -0.026 -0.982
C -7.599 1.528 -1.329 -0.213 -1.549 -0.141 -0.496
C -7.628 1.105 -2.783 0.266 0.279 0.519 -0.692
O -6.472 1.637 -3.409 -0.382 -0.113 -0.475 -0.305
H -6.938 -1.247 -1.241 -0.238 0.177 0.575 0.410
H -5.391 -1.102 -0.354 -0.042 0.253 0.100 0.122
H -5.640 -0.470 -2.026 0.480 0.184 0.254 0.388
H -6.213 0.448 1.551 -0.280 -0.179 0.315 0.242
H -7.667 -0.364 0.927 0.046 0.130 -0.126 0.369
H -7.708 1.390 1.267 0.234 0.160 -0.481 0.400
H -4.938 1.941 -1.394 0.358 -0.375 0.124 0.323
H -4.374 1.353 0.269 -0.203 -1.367 -0.472 0.202
H -5.548 2.511 0.140 -0.202 0.307 -0.242 0.502
H -7.606 2.613 -1.227 1.043 -0.085 0.205 0.259
H -8.566 1.254 -0.908 0.168 -0.485 0.296 0.529
H -8.546 1.472 -3.242 -0.055 0.229 0.096 0.533
H -7.674 0.020 -2.884 0.111 -0.062 0.026 0.251
H -6.805 2.011 -4.228 0.441 0.178 -0.234 0.246
C -4.228 1.665 -5.525 1.272 -0.868 0.591 -1.050
N -2.884 1.742 -6.312 -3.001 -2.757 1.394 0.465
C -2.263 0.311 -6.276 -0.411 0.711 -0.668 -0.941
C -3.183 2.153 -7.714 0.703 0.660 0.155 -0.836
C -2.015 2.751 -5.616 0.427 -0.103 -0.626 -0.883
C -1.466 2.462 -4.243 0.020 -1.299 2.515 0.740
O -2.470 2.506 -3.171 -0.406 0.185 -2.319 -0.245
H -4.872 0.822 -5.777 -0.110 0.438 -1.394 0.445
H -4.660 2.666 -5.506 -0.137 -0.316 -0.033 0.444
H -3.998 1.286 -4.529 0.503 0.949 0.310 0.182
H -1.328 0.349 -6.834 0.370 0.112 0.819 0.387
H -2.839 -0.400 -6.868 -0.644 0.431 0.004 0.372
H -2.275 -0.058 -5.250 0.714 0.251 -0.098 0.167
H -3.773 1.465 -8.320 0.263 -0.515 0.589 0.296
H -2.191 2.303 -8.140 -0.283 0.164 -0.525 0.420
H -3.762 3.076 -7.693 0.335 0.183 0.077 0.327
H -2.578 3.684 -5.614 0.156 0.090 -0.142 0.262
H -1.196 2.747 -6.335 0.473 0.766 0.401 0.499
H -0.594 3.073 -4.012 -0.392 0.992 -0.299 0.004
H -0.962 1.501 -4.144 -0.408 -0.552 -0.726 -0.170
H -2.140 2.557 -2.271 0.949 0.414 0.317 -0.050
C -1.650 -5.234 1.427 -1.380 0.735 -1.166 -1.073
N -2.344 -5.908 0.198 0.484 1.460 1.612 0.435
C -3.784 -6.217 0.585 0.508 0.228 -1.118 -0.891
C -2.371 -4.873 -0.997 0.298 -0.911 0.692 -0.794
C -1.548 -7.123 -0.218 -1.843 -0.559 -1.568 -0.630
C -1.776 -8.404 0.614 0.974 0.470 -1.065 -0.578
O -0.772 -8.408 1.576 -0.241 -0.135 1.543 -0.476
H -0.641 -4.926 1.154 0.059 -0.436 0.328 0.530
H -1.780 -5.800 2.350 0.491 -0.582 -0.480 0.326
H -2.260 -4.343 1.575 0.133 0.306 0.002 0.280
H -3.893 -6.825 1.484 0.401 0.170 -0.134 0.370
H -4.171 -6.743 -0.288 -0.343 -0.103 0.203 0.459
H -4.315 -5.271 0.697 0.157 0.002 0.079 0.125
H -2.795 -3.908 -0.722 -0.348 -0.369 0.451 0.070
H -2.932 -5.334 -1.810 0.019 0.086 0.127 0.506
H -1.354 -4.661 -1.329 0.153 -0.390 0.119 0.394
+++
# Brief
The reader should find the line further up that holds "-6.868 -0.644", then give back that line and all lines after it there.
# Outcome
H -2.839 -0.400 -6.868 -0.644 0.431 0.004 0.372
H -2.275 -0.058 -5.250 0.714 0.251 -0.098 0.167
H -3.773 1.465 -8.320 0.263 -0.515 0.589 0.296
H -2.191 2.303 -8.140 -0.283 0.164 -0.525 0.420
H -3.762 3.076 -7.693 0.335 0.183 0.077 0.327
H -2.578 3.684 -5.614 0.156 0.090 -0.142 0.262
H -1.196 2.747 -6.335 0.473 0.766 0.401 0.499
H -0.594 3.073 -4.012 -0.392 0.992 -0.299 0.004
H -0.962 1.501 -4.144 -0.408 -0.552 -0.726 -0.170
H -2.140 2.557 -2.271 0.949 0.414 0.317 -0.050
C -1.650 -5.234 1.427 -1.380 0.735 -1.166 -1.073
N -2.344 -5.908 0.198 0.484 1.460 1.612 0.435
C -3.784 -6.217 0.585 0.508 0.228 -1.118 -0.891
C -2.371 -4.873 -0.997 0.298 -0.911 0.692 -0.794
C -1.548 -7.123 -0.218 -1.843 -0.559 -1.568 -0.630
C -1.776 -8.404 0.614 0.974 0.470 -1.065 -0.578
O -0.772 -8.408 1.576 -0.241 -0.135 1.543 -0.476
H -0.641 -4.926 1.154 0.059 -0.436 0.328 0.530
H -1.780 -5.800 2.350 0.491 -0.582 -0.480 0.326
H -2.260 -4.343 1.575 0.133 0.306 0.002 0.280
H -3.893 -6.825 1.484 0.401 0.170 -0.134 0.370
H -4.171 -6.743 -0.288 -0.343 -0.103 0.203 0.459
H -4.315 -5.271 0.697 0.157 0.002 0.079 0.125
H -2.795 -3.908 -0.722 -0.348 -0.369 0.451 0.070
H -2.932 -5.334 -1.810 0.019 0.086 0.127 0.506
H -1.354 -4.661 -1.329 0.153 -0.390 0.119 0.394